Sunday 19 July 2020

Why AC evaluated in Tons, Not in kW?

Air conditioning (Air-conditions and Refrigeration are constantly evaluated in Tons)

Rating in Ton, Not in KW.

Forced air systems

These systems are constantly evaluated in Tons capacity instead of kW since Air conditioners are planned based on the amount of warmth expulsion from the room, lobby or explicit region. Amount of warmth is named in Tons implies if a forced-air system can expel 1000 kilo calories of warmth or 4120 kilojoules or 12000 BTU of warmth in an hour that AC evaluated as 1 Ton of AC since 1000 Kilocalories or 4120 kilojoules or 12000 BTU equivalent to one Ton of warmth. Additionally, this is a similar case for cooler and icebox for example refrigeration framework.

Great to know:

BTU = British warm unit. An estimation of warmth, explicitly, the measure of warmth expected to raise the temperature of a pound of water by 1°F.

Meaning of Ton

A Ton of refrigeration (RT) is roughly equal to 12,000 BTU/h or 3,516.8528 W or 4.7142Hp.

A Ton of refrigeration (RT) is a unit of intensity used to portray the warmth extraction limit of cooling and refrigeration types of gear. It is characterized as the warmth of the combination consumed by softening 1 short ton of unadulterated ice at 0 °C (32 °F) in 24 hours.

What number of kW and HP are there in 1 Ton?

1 Ton = 3.5168525 kW = 4.714Hp


1 Ton = 12,000 BTU/h

1 Watt = 3.412141633 BTU/h

1 Ton = 12,000/3.412141633 = 3,516.8528 Watts = 3.5168528 kW.

1 Ton = 3,516.8528 Watts = 3.516 kW.


1 Ton = 3,516.8528W/746 = 4.7142798928 Hp →→→ (1 Hp = 746 Watts)

1 Ton = 4.714 Hp

How to change over Tonto Kw and the other way around?

One RT(Refrigeration Ton) = 3.5168528 kW…

1 RT = 3.5168528 kW

1 kW = 0.284345 RT(Refrigeration Ton)

1 kW = 0.28434517 RT

In this way,

The power P in kW = Power P in RT (Refrigeration Ton) times 3.5168528….

P(kW) = P(RT) × 3.5168528


Convert 3 Ton AC into kW for example Convert 3 RT to kW.


P(kW) = 3 RT × 3.5168528

P(kW) = 10.55 kW

3 Ton AC = 10.55 kW

The amount Current in Ampere will a 2 Tons AC attract Single Phase and Three Phase System?

Assume, There are 230V and Power factor = Cosθ = 0.95 in Single Phase AC framework…

1 Ton = 3,516.8528 Watts = 3.516 kW.

Data records, as found in the file
[1]
This entry pairs a crystal structure of ErNi7B3 with its calculated powder XRD pattern. Radiation: λ = 1.5418 Å (Cu Kα). Structure: a cell relaxed with GGA-PBE.
Peak positions follow from Bragg's law for the DFT cell and can differ from measured ones.

Structure:
a = 7.6342 Å, b = 7.6342 Å, c = 15.5572 Å
α = 90.00°, β = 90.00°, γ = 90.00°
Space group I4_1/amd (No. 141, origin choice 2)
Asymmetric unit:
Er1 0.0000 0.2500 0.0908 (multiplicity 8)
Ni1 0.0000 0.0000 0.5000 (multiplicity 8)
Ni2 0.0000 0.0383 0.2318 (multiplicity 16)
Ni3 0.0000 0.0877 0.9314 (multiplicity 16)
Ni4 0.1877 0.0623 0.3750 (multiplicity 16)
B1 0.0000 0.2500 0.3165 (multiplicity 8)
B2 0.2099 0.0000 0.0000 (multiplicity 16)

Most intense lines, 15 to 90 degrees two-theta, by intensity:
- 2θ 46.32, 1.960 Å, intensity 100, (3 2 3)
- 2θ 40.69, 2.217 Å, intensity 94, (2 2 4)
- 2θ 39.07, 2.306 Å, intensity 88, (3 1 2)
- 2θ 42.36, 2.134 Å, intensity 75, (1 0 7)
- 2θ 47.65, 1.909 Å, intensity 41, (4 0 0)
- 2θ 46.08, 1.970 Å, intensity 38, (3 0 5)
- 2θ 73.35, 1.291 Å, intensity 36, (5 3 2)
- 2θ 20.02, 4.435 Å, intensity 34, (1 1 2)



[2]
This entry pairs a crystal structure of ErBO3 with its calculated powder XRD pattern. Radiation: λ = 1.5418 Å (Cu Kα). Structure: a cell relaxed with GGA-PBE.
Peak positions follow from Bragg's law for the DFT cell and can differ from measured ones.

Structure:
a = 11.3004 Å, b = 6.5353 Å, c = 9.5712 Å
α = 90.00°, β = 112.78°, γ = 90.00°
Space group C2/c (No. 15)
Asymmetric unit:
Er1 0.0855 0.2442 0.4994 (multiplicity 8)
Er2 0.2500 0.2500 0.0000 (multiplicity 4)
B1 0.0000 0.1746 0.7500 (multiplicity 4)
B2 0.1206 0.4616 0.2468 (multiplicity 8)
O1 0.0000 0.3636 0.2500 (multiplicity 4)
O2 0.0485 0.0655 0.8924 (multiplicity 8)
O3 0.1092 0.3076 0.7482 (multiplicity 8)
O4 0.1258 0.4078 0.1018 (multiplicity 8)
O5 0.2232 0.4067 0.3888 (multiplicity 8)

Most intense lines, 15 to 90 degrees two-theta, by intensity:
- 2θ 27.32, 3.265 Å, intensity 100, (0 2 0)
- 2θ 34.11, 2.629 Å, intensity 77, (3 1 1)
- 2θ 20.12, 4.412 Å, intensity 62, (0 0 2)
- 2θ 34.27, 2.616 Å, intensity 38, (3 1 -3)
- 2θ 48.28, 1.885 Å, intensity 34, (6 0 -2)
- 2θ 52.72, 1.736 Å, intensity 20, (6 0 0)
- 2θ 49.75, 1.833 Å, intensity 18, (3 1 3)
- 2θ 49.88, 1.828 Å, intensity 18, (0 2 4)



[3]
This entry pairs a crystal structure of Er2B4O9 with its calculated powder XRD pattern. Radiation: λ = 1.5418 Å (Cu Kα). Structure: a cell relaxed with GGA-PBE.
Peak positions follow from Bragg's law for the DFT cell and can differ from measured ones.

Structure:
a = 6.1746 Å, b = 6.4294 Å, c = 7.4720 Å
α = 102.59°, β = 97.17°, γ = 102.41°
Space group P-1 (No. 2)
Asymmetric unit:
Er1 0.0499 0.0907 0.2878 (multiplicity 2)
Er2 0.3872 0.6771 0.3599 (multiplicity 2)
B1 0.1264 0.3566 0.6505 (multiplicity 2)
B2 0.1615 0.6829 0.9274 (multiplicity 2)
B3 0.2314 0.3335 0.9814 (multiplicity 2)
B4 0.4943 0.1449 0.1903 (multiplicity 2)
O1 0.0049 0.7921 0.0214 (multiplicity 2)

2 Ton = 2 x 3.516 kW = 7.032kW = 7032W

== Between two parts of the text: calculated crystals ==
____________
Starting from a structure optimized by DFT (PBE+U), the powder X-ray diffraction pattern of P4WO12 was computed for Cu Kα.
Peak positions follow from Bragg's law for the DFT cell and can differ from measured ones.

Cell and atoms:
```
P4WO12
1.0
8.738 -6.362 0.000
8.738 6.362 0.000
-1.220 0.000 5.246
P W O
8 2 24
Cartesian
6.363 3.588 4.350
4.849 1.513 2.858
9.893 3.588 0.896
4.849 -1.513 2.858
11.407 1.513 2.388
6.363 -3.588 4.350
11.407 -1.513 2.388
9.893 -3.588 0.896
4.369 3.181 0.000
4.369 -3.181 0.000
6.731 4.766 3.579
6.339 3.620 0.026
3.608 1.888 3.631
4.732 1.644 1.347
9.525 4.766 1.667
6.134 2.251 3.376
8.738 2.904 0.000
5.247 0.000 3.165
9.917 3.620 5.220
3.608 -1.888 3.631
4.732 -1.644 1.347
10.122 2.251 1.871
6.134 -2.251 3.376
11.523 1.644 3.900
12.648 1.888 1.616
6.339 -3.620 0.026
11.009 0.000 2.081
8.738 -2.904 0.000
10.122 -2.251 1.871
6.731 -4.766 3.579
11.523 -1.644 3.900
12.648 -1.888 1.616
9.917 -3.620 5.220
9.525 -4.766 1.667
```

Top 6 peaks for 15 to 90 degrees two-theta, in order of falling intensity:
____________
== So much for the calculated crystals ==

Power in a Single Phase AC System

P = VxI Cosθ and current…

I = P/(V x Cosθ)… .. Where Cosθ = Power factor

I = 7032W/(230V x .95)

I = 32.18 A

In this manner, a 2 Ton AC (Air-condition in Single Phase AC framework will take 31.18 Ampere Current

And Three Phase System

Assume, There are 440V and Power factor = Cosθ = 0.85 in Three-Phase AC framework…

Power in a Three-Phase AC System

P =√3 x VLxIL Cosθ and current… .

I = P/( √3xVxCosθ)

### Misplaced crystal structures
Li9Mn2Co5O16: theoretical powder diffraction line list (Cu Ka), based on a structure optimized by DFT (PBE+U).
Intensities are scaled so that the largest is 100.

Top 12 peaks for 10 to 90 degrees two-theta, low angle first:
Position (°2θ)  I/Imax  h k l
18.2  100  1 0 -2
35.1  15  3 0 2
36.2  24  1 1 2
37.6  7  2 1 0
42.4  27  4 0 0
43.8  52  0 1 4
47.4  13  3 1 -2
57.6  10  1 1 -6
62.5  14  4 1 -4
62.7  13  4 1 4
62.9  7  0 0 8
64.4  7  0 2 0

Crystal structure
```
Li9Mn2Co5O16
1.0
8.5252 0.0000 0.0000
0.0000 2.8929 0.0000
-0.0468 0.0000 11.8265
Li Mn Co O
9 2 5 16
direct
0.0000 0.0000 0.0000
0.0011 0.0000 0.4850
0.2380 0.5000 0.1220
0.2566 0.5000 0.6160
0.4959 0.0000 0.7501
0.4970 0.0000 0.2409
0.7414 0.5000 0.8807
0.7622 0.5000 0.3551
0.9977 0.0000 0.2415
0.9996 0.0000 0.7458
0.7425 0.5000 0.6150
0.2201 0.5000 0.3663
0.2590 0.5000 0.8681
0.4947 0.0000 0.4850
0.5019 0.0000 0.0009
0.7735 0.5000 0.1218
0.0007 0.5000 0.8565
0.0084 0.5000 0.3712
0.2486 0.0000 0.2580
0.2510 0.0000 0.4851
0.2527 0.0000 0.9808
0.2541 0.0000 0.7472
0.4958 0.5000 0.1128
0.4959 0.5000 0.3798
0.4955 0.5000 0.8758
0.5143 0.5000 0.5983
0.7333 0.0000 0.7253
0.7393 0.0000 0.0011
0.7454 0.0000 0.2321
0.7541 0.0000 0.5064
0.9751 0.5000 0.6317
0.9853 0.5000 0.1154
```

I = 7032W/(1.732 x 440V x .85) Where Cosθ = Power factor and √3 = 1.732

I = 10.855 A

In this way, a 2 Ton AC (Air-condition in Three-Phase AC framework will take 10.855 Ampere Current

Great to Know: This is simply figuring dependent on Electrical equations. In genuine, Air conditioner current depends a great deal on working conditions, for example, the surrounding temperature, refrigerant weight, Energy Efficiency Ratio (EER) and so on for example, if EER is 6, at that point info control for 2 Tons Air conditioner is 24000BTU/6 = 4000 watts.

On the off chance that this is a 230-volt framework, at that point forced air system load current would be = 4000/(230x.95) = 18.5 A

For more detail… Check the Air conditioner Nameplate rating.

Another comparable rating is Coefficient of intensity (COP) which is the yield control in watts partitioned by information control, so with a COP = 1.8, for example, input control for 2 Tons Air conditioner is 7032W/1.8 = 3906 watts. Presently you can discover current by utilizing the above strategy which is equivalent to 18A approx.

What number of 2 Ton A.C (Air conditioner) would I be able to keep running on a 25 kVA Generator?

2 Ton = 2 x 3.516 kW = 7.032kW = 7032W

The Efficiency of Utility Power Generator is 90% around.

Proficiency of Generator = 25kVA x (90/100) = 22.5kVA

Presently the Number of 2 Ton AC (Air conditioners) which you can keep running on a 25 kVA Generator easily.


= 3

So you can run Three Air conditioners of 2 Tons each on a 25kVA Generator.

What is the reasonable rating of MCB for 2 Ton and 1 Ton AC (Air conditioner) and why?

As we have determined the heap current for 2 Ton AC Air conditioner…

Determined Current for 2 Ton A.C = I = 32.18 A

Presently 40A Class "C" MCB (scaled-down electrical switch) would be appropriate for 2 Ton AC (cool) because in beginning time it takes increasingly flow of the full burden flow

What's more, 20 A Class "C" MCB would be better for 1 Ton AC (cool)

Great to Know:

Class "'C' Type MCBs

Class "C" Type MCBs are reasonable for establishments with the high inrush of current at the beginning exchanging time. at the end of the day, hardware and gadgets having inductive loads, for example, forced air systems, enlistment engines, fluorescent lights, transformers etc.

Why is Battery Rating in Ah (Ampere hour) and not in VA or Watts.

Why is Battery Rating in Ah (Ampere hour) and not in VA or Watts?

Battery stores charge as concoction vitality and after that changes over it into electrical vitality to use for a particular time. The measure of accessible charge is the limit of a cell or battery which might be communicated in Ah (Ampere-hour). Besides, in a charged battery, the quantities of atoms are constrained to make a progression of the electron in electric circuits, along these lines, there must be a set number of electrons in a cell/battery which they inspire through a circuit to completely release.
Presently we have the alternative to rate the battery limit in Number of streaming electrons for a particular time, be that as it may, it would be a migraine because there are countless electrons in it. So we have another alternative (1C (Coulomb) = 6.25 x 10^18 electrons, or 6,250,000,000,000,000,000 electrons. 
Rating Of Batteries
What's more, 1A (Ampere) = 1 coulomb of electrons for each second and, 60 minutes (h) = 3600 Seconds In this way; 
1Ah = (1A) x (3600s) = (C/s) x (3600s) = 3600 C. 
A (1 Ampere) = 1 Coulomb for each second = C/s 

Why make up another unit for battery limit rating when an old one unit is doing fine and dandy?

Obviously! To make your lives as experts and understudies increasingly troublesome ;). As they accomplish for power units… for example 1 Unit of Electricity = 1kWh = 1 leading group of Trade Unit. 

Why Battery isn't Rated in VA (Volt Ampere) or Watts? 

VA represents volt-amps. This is the estimation for clear power one of the three sorts of intensity in AC circuits. The other two are genuine power, estimated in watts and reactive power measured in VARS (Volt Amperes Reactive). The connection between the three decides a power factor which is the thing that you need in an AC circuit. Batteries are DC where power factor is solidarity (for example P.f isn't appropriate in DC circuits because of zero recurrences). 
Furthermore, the battery is definitely not a steady voltage source, for example, we just intrigued by battery limit which is just for the explicit time, subsequently, we can't utilize Wh rather than Ah for the battery too. That is the reason battery isn't appraised in VA or W rather than Ah.

Why Alternator/Generator Rated in kVA. Not in kW?

As we definitely realize that why transformer evaluated in kVA rather than kW, the same reason here, for example, the power √3 VL IL Cos θ c...